**Material:**
┌──
(1)
Li4TiCrO6: theoretical powder diffraction line list (Cu Kα (weighted mean of Kα1 and Kα2)), based on a structure optimized by DFT (GGA+U).
Neutral-atom scattering factors, no anomalous dispersion.

Structural model:
a = 5.0445 Å, b = 5.0558 Å, c = 19.3985 Å
α = 85.06°, β = 86.95°, γ = 60.55°
Atoms (fractional coordinates):
Li: 0.0000 0.0000 0.0000
Li: 0.0000 0.5000 0.5000
Li: 0.0011 0.1268 0.6250
Li: 0.0015 0.3768 0.8750
Li: 0.0078 0.2489 0.2500
Li: 0.3194 0.3315 0.9999
Li: 0.3196 0.5897 0.2504
Li: 0.3249 0.0900 0.7506
Li: 0.3247 0.8439 0.5003
Li: 0.6753 0.1561 0.4997
Li: 0.6751 0.9100 0.2494
Li: 0.6804 0.4103 0.7496
Li: 0.6806 0.6685 0.0001
Li: 0.9922 0.7511 0.7500
Li: 0.9985 0.6232 0.1250
Li: 0.9989 0.8732 0.3750
Ti: 0.3320 0.4558 0.6247
Ti: 0.3323 0.7045 0.8748
Ti: 0.6677 0.2955 0.1252
Ti: 0.6680 0.5442 0.3753
Cr: 0.3325 0.9555 0.1249
Cr: 0.3329 0.2058 0.3748
Cr: 0.6671 0.7942 0.6252
Cr: 0.6675 0.0445 0.8751
O: 0.0015 0.4598 0.6832
O: 0.0021 0.7097 0.9332
O: 0.0063 0.2111 0.4322
O: 0.0069 0.9609 0.1822
O: 0.3534 0.1465 0.5682
O: 0.3535 0.9021 0.3191
O: 0.3535 0.2468 0.1809
O: 0.3541 0.4964 0.4312
O: 0.3546 0.3966 0.8177
O: 0.3545 0.6524 0.0689
O: 0.3593 0.0014 0.9309
O: 0.3597 0.7510 0.6812
O: 0.6403 0.2490 0.3188
O: 0.6407 0.9986 0.0691
O: 0.6455 0.3476 0.9311
O: 0.6454 0.6034 0.1823
O: 0.6459 0.5036 0.5688
O: 0.6465 0.7532 0.8191
O: 0.6465 0.0979 0.6809
O: 0.6466 0.8535 0.4318
O: 0.9931 0.0391 0.8178
O: 0.9937 0.7889 0.5678
O: 0.9979 0.2903 0.0668
O: 0.9985 0.5402 0.3168

Top 12 peaks for 5 to 70 degrees two-theta, in order of rising 2θ:
2θ/deg  Rel. int.
18.36  100
20.22  19
21.05  17
21.31  19
23.74  24
35.74  12
36.07  11
36.22  11
43.20  40
43.67  38
43.96  37
63.36  20



(2)
Li2TiCrO4: theoretical powder diffraction line list (Cu Kα (weighted mean of Kα1 and Kα2)), based on a structure optimized by DFT (GGA+U).
Neutral-atom scattering factors, no anomalous dispersion.

Structural model:
a = 5.9229 Å, b = 5.9229 Å, c = 8.7143 Å
α = 90.95°, β = 90.95°, γ = 90.05°
Atoms (fractional coordinates):
Li: 0.1221 0.1221 0.1310
Li: 0.1247 0.6189 0.6270
Li: 0.3709 0.3813 0.3798
Li: 0.3811 0.8753 0.3730
Li: 0.6187 0.6291 0.6202
Li: 0.6227 0.1239 0.1324
Li: 0.8761 0.3773 0.8676
Li: 0.8779 0.8779 0.8690
Ti: 0.1260 0.1181 0.6185
Ti: 0.3721 0.3882 0.8788
Ti: 0.6118 0.6279 0.1212
Ti: 0.8819 0.8740 0.3815
Cr: 0.1170 0.6215 0.1288
Cr: 0.3785 0.8830 0.8712
Cr: 0.6204 0.1320 0.6237
Cr: 0.8680 0.3796 0.3763
O: 0.0972 0.6334 0.3925
O: 0.1059 0.1353 0.3812
O: 0.1336 0.1347 0.8553
O: 0.1465 0.6182 0.8611
O: 0.3666 0.9028 0.6075
O: 0.3718 0.3758 0.1129
O: 0.3735 0.3645 0.6322
O: 0.3818 0.8535 0.1389
O: 0.6125 0.1438 0.8578
O: 0.6242 0.6282 0.8871
O: 0.6355 0.6265 0.3678
O: 0.6405 0.1254 0.3884
O: 0.8562 0.3875 0.1422
O: 0.8653 0.8664 0.1447
O: 0.8647 0.8941 0.6188
O: 0.8746 0.3595 0.6116

Top 12 peaks for 5 to 70 degrees two-theta, in order of rising 2θ:
2θ/deg  Rel. int.
17.97  87
18.25  89
34.16  18
35.21  13
35.48  13
36.41  13
41.46  56
43.21  100
60.65  14
61.41  28
62.24  14
62.76  26



(3)
Li4TiCrO6: theoretical powder diffraction line list (Cu Kα (weighted mean of Kα1 and Kα2)), based on a structure optimized by DFT (GGA+U).
Neutral-atom scattering factors, no anomalous dispersion.

Structural model:
a = 5.0654 Å, b = 8.7679 Å, c = 9.8032 Å
α = 98.38°, β = 94.92°, γ = 90.06°
Atoms (fractional coordinates):
Li: 0.0000 0.0000 0.0000
Li: 0.0030 0.3289 0.9999
Li: 0.0141 0.6553 0.9995
Li: 0.1324 0.4522 0.7485
Li: 0.2486 0.2422 0.4969
Li: 0.2572 0.5801 0.4974
Li: 0.2676 0.9102 0.4988
Li: 0.3821 0.7005 0.2485
Li: 0.4990 0.4979 0.9979
Li: 0.5078 0.8292 0.9975
Li: 0.5177 0.1546 0.9972
Li: 0.6321 0.9531 0.7488
Li: 0.7447 0.7430 0.4990
Li: 0.7521 0.0802 0.5004
Li: 0.7682 0.4114 0.5010
Li: 0.8816 0.2004 0.2492
Ti: 0.1259 0.7858 0.7452
Ti: 0.1368 0.1204 0.7526
Ti: 0.3831 0.3710 0.2492
Ti: 0.8828 0.8712 0.2500
Cr: 0.3813 0.0345 0.2479
Cr: 0.6247 0.6169 0.7480
Cr: 0.6384 0.2889 0.7500
Cr: 0.8815 0.5346 0.2487
O: 0.0430 0.7184 0.3607
└──
**Request:**
It remains to echo the notes earlier on from the first line to the one with "Ti: 0.8828" verbatim.
**Worked solution:**
(1)
Li4TiCrO6: theoretical powder diffraction line list (Cu Kα (weighted mean of Kα1 and Kα2)), based on a structure optimized by DFT (GGA+U).
Neutral-atom scattering factors, no anomalous dispersion.

Structural model:
a = 5.0445 Å, b = 5.0558 Å, c = 19.3985 Å
α = 85.06°, β = 86.95°, γ = 60.55°
Atoms (fractional coordinates):
Li: 0.0000 0.0000 0.0000
Li: 0.0000 0.5000 0.5000
Li: 0.0011 0.1268 0.6250
Li: 0.0015 0.3768 0.8750
Li: 0.0078 0.2489 0.2500
Li: 0.3194 0.3315 0.9999
Li: 0.3196 0.5897 0.2504
Li: 0.3249 0.0900 0.7506
Li: 0.3247 0.8439 0.5003
Li: 0.6753 0.1561 0.4997
Li: 0.6751 0.9100 0.2494
Li: 0.6804 0.4103 0.7496
Li: 0.6806 0.6685 0.0001
Li: 0.9922 0.7511 0.7500
Li: 0.9985 0.6232 0.1250
Li: 0.9989 0.8732 0.3750
Ti: 0.3320 0.4558 0.6247
Ti: 0.3323 0.7045 0.8748
Ti: 0.6677 0.2955 0.1252
Ti: 0.6680 0.5442 0.3753
Cr: 0.3325 0.9555 0.1249
Cr: 0.3329 0.2058 0.3748
Cr: 0.6671 0.7942 0.6252
Cr: 0.6675 0.0445 0.8751
O: 0.0015 0.4598 0.6832
O: 0.0021 0.7097 0.9332
O: 0.0063 0.2111 0.4322
O: 0.0069 0.9609 0.1822
O: 0.3534 0.1465 0.5682
O: 0.3535 0.9021 0.3191
O: 0.3535 0.2468 0.1809
O: 0.3541 0.4964 0.4312
O: 0.3546 0.3966 0.8177
O: 0.3545 0.6524 0.0689
O: 0.3593 0.0014 0.9309
O: 0.3597 0.7510 0.6812
O: 0.6403 0.2490 0.3188
O: 0.6407 0.9986 0.0691
O: 0.6455 0.3476 0.9311
O: 0.6454 0.6034 0.1823
O: 0.6459 0.5036 0.5688
O: 0.6465 0.7532 0.8191
O: 0.6465 0.0979 0.6809
O: 0.6466 0.8535 0.4318
O: 0.9931 0.0391 0.8178
O: 0.9937 0.7889 0.5678
O: 0.9979 0.2903 0.0668
O: 0.9985 0.5402 0.3168

Top 12 peaks for 5 to 70 degrees two-theta, in order of rising 2θ:
2θ/deg  Rel. int.
18.36  100
20.22  19
21.05  17
21.31  19
23.74  24
35.74  12
36.07  11
36.22  11
43.20  40
43.67  38
43.96  37
63.36  20



(2)
Li2TiCrO4: theoretical powder diffraction line list (Cu Kα (weighted mean of Kα1 and Kα2)), based on a structure optimized by DFT (GGA+U).
Neutral-atom scattering factors, no anomalous dispersion.

Structural model:
a = 5.9229 Å, b = 5.9229 Å, c = 8.7143 Å
α = 90.95°, β = 90.95°, γ = 90.05°
Atoms (fractional coordinates):
Li: 0.1221 0.1221 0.1310
Li: 0.1247 0.6189 0.6270
Li: 0.3709 0.3813 0.3798
Li: 0.3811 0.8753 0.3730
Li: 0.6187 0.6291 0.6202
Li: 0.6227 0.1239 0.1324
Li: 0.8761 0.3773 0.8676
Li: 0.8779 0.8779 0.8690
Ti: 0.1260 0.1181 0.6185
Ti: 0.3721 0.3882 0.8788
Ti: 0.6118 0.6279 0.1212
Ti: 0.8819 0.8740 0.3815
Cr: 0.1170 0.6215 0.1288
Cr: 0.3785 0.8830 0.8712
Cr: 0.6204 0.1320 0.6237
Cr: 0.8680 0.3796 0.3763
O: 0.0972 0.6334 0.3925
O: 0.1059 0.1353 0.3812
O: 0.1336 0.1347 0.8553
O: 0.1465 0.6182 0.8611
O: 0.3666 0.9028 0.6075
O: 0.3718 0.3758 0.1129
O: 0.3735 0.3645 0.6322
O: 0.3818 0.8535 0.1389
O: 0.6125 0.1438 0.8578
O: 0.6242 0.6282 0.8871
O: 0.6355 0.6265 0.3678
O: 0.6405 0.1254 0.3884
O: 0.8562 0.3875 0.1422
O: 0.8653 0.8664 0.1447
O: 0.8647 0.8941 0.6188
O: 0.8746 0.3595 0.6116

Top 12 peaks for 5 to 70 degrees two-theta, in order of rising 2θ:
2θ/deg  Rel. int.
17.97  87
18.25  89
34.16  18
35.21  13
35.48  13
36.41  13
41.46  56
43.21  100
60.65  14
61.41  28
62.24  14
62.76  26



(3)
Li4TiCrO6: theoretical powder diffraction line list (Cu Kα (weighted mean of Kα1 and Kα2)), based on a structure optimized by DFT (GGA+U).
Neutral-atom scattering factors, no anomalous dispersion.

Structural model:
a = 5.0654 Å, b = 8.7679 Å, c = 9.8032 Å
α = 98.38°, β = 94.92°, γ = 90.06°
Atoms (fractional coordinates):
Li: 0.0000 0.0000 0.0000
Li: 0.0030 0.3289 0.9999
Li: 0.0141 0.6553 0.9995
Li: 0.1324 0.4522 0.7485
Li: 0.2486 0.2422 0.4969
Li: 0.2572 0.5801 0.4974
Li: 0.2676 0.9102 0.4988
Li: 0.3821 0.7005 0.2485
Li: 0.4990 0.4979 0.9979
Li: 0.5078 0.8292 0.9975
Li: 0.5177 0.1546 0.9972
Li: 0.6321 0.9531 0.7488
Li: 0.7447 0.7430 0.4990
Li: 0.7521 0.0802 0.5004
Li: 0.7682 0.4114 0.5010
Li: 0.8816 0.2004 0.2492
Ti: 0.1259 0.7858 0.7452
Ti: 0.1368 0.1204 0.7526
Ti: 0.3831 0.3710 0.2492
Ti: 0.8828 0.8712 0.2500